Omnibus I – Simplifying or overhauling the EU’s Sustainability Regime?

Calculated molecules that have nothing to do with the text:
┌──
(1)
C62H48FGeN2NiOP3S | ωB97M-V/def2-TZVPD

The calculation puts the energy above the lowest of the compared OMol25 structures with the same formula, charge and spin at 0.0 kJ/mol. As for the total energy: -7683.18492 Ha. The orbital gap (spin up / spin down) is 7.65 / 6.13 eV. Its total charge is +2. The value obtained for the LUMO energy (spin up / spin down) is -0.1780 / -0.2339 hartree. The multiplicity is 3.

Geometry as XYZ:
```
120
Properties=species:S:1:pos:R:3:forces:R:3:lowdin_spin:R:1
Ni 0.8155 0.4808 -0.9175 -0.40 -0.49 0.05 1.60
F -1.0324 0.4358 -0.2150 -0.03 0.20 0.13 0.04
Ge -2.0300 -0.9193 0.5142 0.04 0.11 0.13 0.00
C -1.1120 -1.8974 1.8939 0.22 0.03 0.13 0.00
C -1.9708 -2.6175 2.7258 -0.03 -0.03 0.07 0.00
C -1.4771 -3.3561 3.7910 -0.01 0.02 -0.01 0.00
C -0.1136 -3.3739 4.0444 0.03 0.03 -0.03 0.00
C 0.7471 -2.6651 3.2219 -0.02 -0.11 0.03 0.00
C 0.2594 -1.9265 2.1445 -0.05 -0.08 -0.08 0.01
P 1.5035 -1.0837 1.1072 0.00 0.22 -0.03 0.06
C 2.6097 -2.4906 0.7538 -0.02 0.06 -0.01 0.00
C 3.9147 -2.6141 1.2189 0.01 0.04 0.01 0.00
C 4.6276 -3.7847 0.9908 0.02 -0.02 -0.04 0.00
C 4.0398 -4.8402 0.3135 0.02 0.01 0.00 0.00
C 2.7342 -4.7246 -0.1472 -0.06 -0.02 0.08 0.00
C 2.0263 -3.5559 0.0670 -0.05 -0.08 0.04 0.00
C 2.3653 0.0058 2.2887 -0.04 0.04 0.02 0.01
C 1.7282 0.4131 3.4620 -0.03 -0.01 0.01 0.00
C 2.3216 1.3450 4.3008 -0.01 0.00 0.00 0.00
C 3.5601 1.8821 3.9841 0.02 0.00 0.00 0.01
C 4.2129 1.4730 2.8294 -0.02 0.00 0.01 0.00
C 3.6191 0.5437 1.9884 0.03 0.04 -0.02 0.00
C -3.5119 0.0901 1.2107 -0.12 0.13 0.04 0.00
C -4.8148 -0.1198 0.7588 -0.04 0.03 -0.03 0.00
C -5.8825 0.5412 1.3487 0.05 0.01 0.03 0.00
C -5.6527 1.4144 2.4020 -0.02 -0.01 -0.04 0.00
C -4.3587 1.6493 2.8411 0.03 0.01 0.06 0.00
C -3.2708 1.0155 2.2437 -0.11 -0.02 0.06 0.00
P -1.5304 1.3355 2.7507 -0.16 -0.14 -0.14 0.00
C -1.1858 2.9925 2.0647 0.17 0.07 -0.04 0.00
C -2.0655 4.0758 2.0659 -0.11 -0.10 -0.05 0.00
C -1.7009 5.2821 1.4871 0.04 0.04 -0.06 0.00
C -0.4476 5.4268 0.9003 0.01 0.00 0.03 0.00
C 0.4476 4.3672 0.9128 0.03 0.01 0.06 0.00
C 0.0776 3.1611 1.4949 0.11 0.05 0.05 0.00
C -1.6767 1.6024 4.5401 0.04 0.01 0.01 0.00
C -1.2755 2.7736 5.1735 0.01 0.04 0.02 0.00
C -1.3089 2.8636 6.5606 0.00 0.01 0.00 0.00
C -1.7411 1.7881 7.3198 -0.01 -0.03 -0.01 0.00
C -2.1421 0.6136 6.6917 0.01 0.03 0.02 0.00
C -2.1022 0.5186 5.3116 -0.02 -0.01 0.03 0.00
C -2.3205 -1.9482 -1.0824 0.02 -0.27 -0.15 0.00
C -3.4885 -2.7161 -1.0458 -0.03 -0.06 -0.03 0.00
C -3.9009 -3.4789 -2.1267 0.03 0.01 0.01 0.00
C -3.1474 -3.4663 -3.2878 0.01 0.00 0.02 0.00
C -1.9746 -2.7316 -3.3328 -0.03 -0.03 -0.06 0.00
C -1.5151 -2.0015 -2.2308 -0.10 0.08 -0.18 0.01
P 0.1046 -1.1767 -2.5297 -0.02 -0.08 0.14 0.07
C 1.3161 -2.4999 -2.8243 0.09 0.01 0.03 0.01
C 0.9916 -3.8278 -3.0923 -0.05 -0.04 -0.03 0.00
C 1.9891 -4.7590 -3.3424 -0.03 0.01 -0.01 0.00
C 3.3231 -4.3866 -3.3062 0.05 0.08 -0.07 0.00
C 3.6624 -3.0722 -3.0172 0.00 -0.03 -0.08 0.00
C 2.6646 -2.1423 -2.7792 0.03 0.04 -0.05 0.00
└──

After months of anticipation and leaks to the press, the new European Commission presented its so-called Omnibus I Proposal for simplifying and easing the ESG reporting obligations on 26 February 2025. 

The Omnibus I Proposal encompasses a 2-track approach by providing two separate legal proposals for two amending both CSRD and CSDDD. 

It is important to note that these legislative proposals still need to be adopted (and can be amended) by the European Parliament and the European Council.

The First Proposal (COM/2025/80 final) aims to postpone the reporting requirements of the existing CSRD for the 2nd and 3rd cohorts by two years (i.e. 1 January 2027 for non-listed ‘large undertakings/groups’ and 1 January 2028 for listed SMEs etc.) and the transposition date of the CSDDD with one year (i.e. to 26 July 2027). Given this technical change, the Commission proposes that Member States should transpose this amending Directive into national law before 31 December 2025. It calls on the EU Council and Parliament to adopt this proposal as soon as possible to prevent uncertainty for companies that are currently preparing for CSRD compliance over the current financial year. In parallel, the Commission promises to adopt without delay a delegated act to revise the first set of ESRS, reducing the number of data points and clarifying which are mandatory or voluntary reporting topics.

The Second Proposal (COM/2025/ 81 final) contains more material changes to the CSRD and CSDDD. There is no timeline indicated, as it is likely that this Directive will not so easily obtain the approval of both EU institutions. The following proposed changes by the Second Proposal materially affect the reporting obligations for most companies currently already preparing for CSRD reporting:


  • Reducing the remit of CSRD for non-listed EU companies by 80% as a result of amending the application threshold to large undertakings having at least 1.000 employees, and turnover of > EUR 50 million or total assets of > EUR 25 million
  • Removing the requirement to obtain ‘reasonable assurance' on sustainability statements but ‘limited assurance’ to remain. Commission shall issue targeted assurance guidelines by 2026 that clarify the necessary procedure that assurance providers are to perform as part of their limited assurance engagement before adopting the standards by delegated act
  • With regard to for non-EU ultimate parent companies, the Commission proposes increasing the net turnover threshold generated in the EU from EUR 150 million to 450 million as well as aligning the net turnover threshold of branches with the net turnover threshold for ‘large undertakings’ (i.e. EUR 50 million)
  • Removing the requirement to adopt Sector Specific ESRS and revising the General ESRS


  • Climate change transition plans do not have to be ‘put into effect'
  • Primary due diligence obligations relate only to ‘direct business partners’
  • Penalties are no longer linked to worldwide net turnover 
  • Member States cannot impose further requirements relating to the due diligence process due to maximum harmonization
  • Removal EU-wide civil liability

Between two parts of the entry: quantum chemistry results =
Arrangement one

The following is a quantum chemistry calculation of a single C5H6N2 molecule, from the OMol25 dataset.

```
! RIJCOSX wB97M-V def2-TZVPD def2/J DEFGRID3
* xyz 0 1
C -2.488 0.082 -0.138
C -0.919 0.048 0.051
C -0.002 1.213 0.306
C 1.350 1.035 -0.161
C 1.036 -1.221 0.054
H -2.810 0.145 1.019
H -2.489 -1.115 -0.367
H -2.988 0.924 -0.783
H -0.299 2.350 0.308
H 2.014 1.937 -0.466
H 1.297 -2.211 0.414
N 1.908 -0.111 -0.060
N -0.277 -1.171 -0.054
*
```

- HOMO energy: -9.42 eV
- SMILES: Cc1ccncn1

=====

Arrangement two

The following is a quantum chemistry calculation of 2 unconnected molecules or ions with the total composition C5H6N2, from the OMol25 dataset.

```
! RIJCOSX wB97M-V def2-TZVPD def2/J DEFGRID3
* xyz 0 1
C -0.858 -2.072 0.521
C -1.819 -1.023 0.063
C 4.865 2.560 -0.957
N 5.479 2.990 -1.813
N -2.861 -1.356 -0.569
C -1.470 0.326 0.391
C -1.260 1.485 0.623
H -3.466 -0.586 -0.848
H 4.294 2.160 -0.161
H -0.746 -2.026 1.604
H -1.227 -3.051 0.231
H 0.120 -1.900 0.073
H -1.051 2.492 0.841
*
```

- HOMO energy: -10.31 eV
- SMILES: [H]/N=C(/C)C#C.C#N

=====

Arrangement three

The following is a quantum chemistry calculation of a single C5H6N2 molecule, from the OMol25 dataset.

```
! RIJCOSX wB97M-V def2-TZVPD def2/J DEFGRID3
* xyz 0 1
N 2.172 0.386 1.849
C 1.688 0.333 0.798
C 1.119 0.327 -0.539
C -0.021 -0.535 -0.963
C -0.858 -0.967 0.201
C -0.921 0.705 0.473
N -0.195 0.920 -0.791
H 1.839 0.572 -1.311
H 0.064 -1.017 -1.932
H -1.916 -1.133 0.018
H -0.506 -1.946 0.602
H -1.967 0.993 0.341
H -0.496 1.363 1.254
*
```

- HOMO energy: -9.94 eV
- SMILES: N#C[C@H]1[C@H]2CCN21

=====

If we sort the structures by their calculated energies, the order from most to least stable is arrangement one, arrangement two, arrangement three.

=====

Arrangement one

The following is a quantum chemistry calculation of a single C5H6N2 molecule, from the OMol25 dataset.

```
! RIJCOSX wB97M-V def2-TZVPD def2/J DEFGRID3
* xyz 0 1
C -0.554 1.395 0.053
C 0.529 1.170 -0.641
C -1.610 0.758 0.532
C 1.314 0.016 -0.109
C 0.267 -1.095 0.149
N -1.997 -0.421 -0.190
N -1.132 -1.255 -0.419
H -2.394 0.889 1.254
H 0.781 1.741 -1.491
H 2.031 0.048 0.703
H 1.903 -0.126 -0.934
H 0.787 -1.985 -0.145
H 0.076 -1.136 1.239
*
```

- HOMO energy: -8.55 eV
- SMILES: C1=CCCN=NC=1

=====

Arrangement two

The following is a quantum chemistry calculation of a molecular structure, C5H6N2, from the OMol25 dataset.

```
! RIJCOSX wB97M-V def2-TZVPD def2/J DEFGRID3
* xyz 0 1
C -0.031 1.111 0.673
C 0.618 0.048 1.589
C 0.143 -0.814 0.450
N 0.723 -1.460 -0.512
C -0.016 -1.072 -1.634
C -0.964 -0.149 -1.323
N -0.894 0.036 0.057
H 0.667 1.416 -0.115
H -0.565 1.968 1.083
H 1.695 0.090 1.748
H 0.078 -0.088 2.529
H 0.247 -1.446 -2.615
H -1.700 0.360 -1.929
*
```

- HOMO energy: -8.92 eV

=====

Arrangement three

The following is a quantum chemistry calculation of a single C5H6N2 molecule, from the OMol25 dataset.

```
! RIJCOSX wB97M-V def2-TZVPD def2/J DEFGRID3
* xyz 0 1
C 1.789 0.614 0.853
The entry goes on =

EU Taxonomy 

  • Newly introduced thresholds provide for reduced applicability of EU Taxonomy’s disclosure obligations in terms of capital expenditures

With these proposals, the Commission aims to cut sustainability reporting and due diligence requirements for 80% of the companies currently in scope. One may wonder whether this reduced remit does not dilute the Commission’s green ambitions. Also, in this digital age, the number of employees does not necessarily reflect a company’s impact on sustainability. It will be interesting to see how the EU institutions will also respond to the calls for simplified and clear sustainability reporting and due diligence without watering down the core objectives of CSRD and CSDDD.

Furthermore, although the Commission aims to “cut the red tape”, the chosen 2-track approach could result in additional complexity for businesses as it remains to be seen whether the Second Proposal will also be adopted by the other EU institutions, where it will no doubt be heavily debated and amended. Especially for ‘large undertakings’ that have less than 1000 employees, two years of additional uncertainty lie ahead. Most companies have already embarked on the road to CSRD compliance by conducting the ‘double materiality assessment’ (DMA), gap analysis and data collection for their reporting requirements. This investment may no longer be required for a mandatory reporting obligation, but hopefully many will have experienced that the CSRD process also enhances business opportunities as well as risk mitigation and resilience.

Stay tuned as our experts Pauline Kuipers, Michael Junemann, Felix Schmidtke, Timo Förster, and Sander Wagemakers will provide a more detailed analysis of the Omnibus I Proposals. In the meantime, do not hesitate to reach out if you have any questions.